To do:
It remains to write out the block further down character by character.

Listing:
____________
A relaxed Sc2Mn2AlRu5 crystal. Source: Alexandria via LeMat-Bulk, functional PBE.

Summary:
Uncorrected energy (eV/atom): -8.294
DOS at the Fermi energy (states/eV/cell): 16.89
Volume (Å³/atom): 15.262
Crystal system: tetragonal

Cell: 3.2302 9.7210 9.7210 Å, 90.00 90.00 90.00°
Closest atoms and distances in Å follow each position.
Positions (direct):
Ru 0.5000 0.4349 0.3000  2 Mn 2.39, 2 Al 2.61
Ru 0.5000 0.3000 0.5651  2 Mn 2.39, 2 Al 2.61
Ru 0.5000 0.0651 0.8000  2 Mn 2.39, 2 Al 2.61
Ru 0.5000 0.5651 0.7000  2 Mn 2.39, 2 Al 2.61
Ru 0.5000 0.0000 0.5000  4 Mn 2.43
Ru 0.5000 0.2000 0.0651  2 Mn 2.39, 2 Al 2.61
Ru 0.5000 0.8000 0.9349  2 Mn 2.39, 2 Al 2.61
Ru 0.5000 0.5000 0.0000  4 Mn 2.43
Ru 0.5000 0.9349 0.2000  2 Mn 2.39, 2 Al 2.61
Ru 0.5000 0.7000 0.4349  2 Mn 2.39, 2 Al 2.61
Mn 0.0000 0.3679 0.1321  6 Ru 2.39-2.43
Mn 0.0000 0.6321 0.8679  6 Ru 2.39-2.43
Mn 0.0000 0.1321 0.6321  6 Ru 2.39-2.43
Mn 0.0000 0.8679 0.3679  6 Ru 2.39-2.43
Sc 0.0000 0.3287 0.8287  3 Mn 2.70-2.97, 2 Ru 2.86
Sc 0.0000 0.6713 0.1713  3 Mn 2.70-2.97, 2 Ru 2.86
Sc 0.0000 0.1713 0.3287  3 Mn 2.70-2.97, 2 Ru 2.86
Sc 0.0000 0.8287 0.6713  3 Mn 2.70-2.97, 2 Ru 2.86
Al 0.0000 0.5000 0.5000  8 Ru 2.61
Al 0.0000 0.0000 0.0000  8 Ru 2.61

---

A relaxed Sc2MnAl2Ru5 crystal. Source: Alexandria via LeMat-Bulk, functional PBE.

Summary:
Uncorrected energy (eV/atom): -7.886
DOS at the Fermi energy (states/eV/cell): 15.63
Volume (Å³/atom): 15.444
Crystal system: tetragonal

Cell: 3.2335 9.7737 9.7737 Å, 90.00 90.00 90.00°
Closest atoms and distances in Å follow each position.
Positions (direct):
Ru 0.5000 0.6921 0.4365  2 Al 2.46, 2 Mn 2.55
Ru 0.5000 0.8079 0.9365  2 Al 2.46, 2 Mn 2.55
Ru 0.5000 0.3079 0.5635  2 Al 2.46, 2 Mn 2.55
Ru 0.5000 0.0635 0.8079  2 Al 2.46, 2 Mn 2.55
Ru 0.5000 0.9365 0.1921  2 Al 2.46, 2 Mn 2.55
Ru 0.5000 0.4365 0.3079  2 Al 2.46, 2 Mn 2.55
Ru 0.5000 0.0000 0.5000  4 Al 2.43
Ru 0.5000 0.1921 0.0635  2 Al 2.46, 2 Mn 2.55
Ru 0.5000 0.5000 0.0000  4 Al 2.43
Ru 0.5000 0.5635 0.6921  2 Al 2.46, 2 Mn 2.55
Sc 0.0000 0.3306 0.8306  3 Al 2.76-2.96, 6 Ru 2.85-3.08
Sc 0.0000 0.8306 0.6694  3 Al 2.76-2.96, 6 Ru 2.85-3.08
Sc 0.0000 0.6694 0.1694  3 Al 2.76-2.96, 6 Ru 2.85-3.08
Sc 0.0000 0.1694 0.3306  3 Al 2.76-2.96, 6 Ru 2.85-3.08
Mn 0.0000 0.5000 0.5000  8 Ru 2.55
Mn 0.0000 0.0000 0.0000  8 Ru 2.55
Al 0.0000 0.6309 0.8691  6 Ru 2.43-2.46
Al 0.0000 0.1309 0.6309  6 Ru 2.43-2.46
Al 0.0000 0.8691 0.3691  6 Ru 2.43-2.46
Al 0.0000 0.3691 0.1309  6 Ru 2.43-2.46

---

A relaxed SrMn2AlRu crystal. Source: Alexandria via LeMat-Bulk, functional PBE.

Summary:
Uncorrected energy (eV/atom): -4.510
DOS at the Fermi energy (states/eV/cell): 4.64
Volume (Å³/atom): 23.707
Crystal system: tetragonal

Cell: 4.9669 4.8047 4.9669 Å, 90.00 90.00 90.00°
Closest atoms and distances in Å follow each position.
Positions (direct):
Al 0.5000 0.5000 0.5000  8 Mn 3.46, 4 Ru 3.51
Mn 0.5000 0.0000 0.0000  2 Sr 2.48
Mn 0.0000 0.0000 0.5000  2 Sr 2.48
Sr 0.0000 0.0000 0.0000  2 Ru 2.40, 4 Mn 2.48
Ru 0.0000 0.5000 0.0000  2 Sr 2.40

---

A relaxed SrMnAlRu2 crystal. Source: Alexandria via LeMat-Bulk, functional PBE.

Summary:
Uncorrected energy (eV/atom): -3.847
DOS at the Fermi energy (states/eV/cell): 6.94
Volume (Å³/atom): 23.155
Crystal system: tetragonal

Cell: 4.7326 5.1691 4.7326 Å, 90.00 90.00 90.00°
Closest atoms and distances in Å follow each position.
Positions (direct):
Ru 0.5000 0.0000 0.0000  2 Sr 2.37
Ru 0.0000 0.0000 0.5000  2 Sr 2.37
Al 0.0000 0.5000 0.0000  2 Sr 2.58
Mn 0.5000 0.5000 0.5000  4 Al 3.35, 8 Ru 3.50
Sr 0.0000 0.0000 0.0000  4 Ru 2.37, 2 Al 2.58

---

A relaxed Tb2MnAl2Ru5 crystal. Source: Alexandria via LeMat-Bulk, functional PBE.

Summary:
Uncorrected energy (eV/atom): -7.496
DOS at the Fermi energy (states/eV/cell): 14.71
Volume (Å³/atom): 16.504
Crystal system: tetragonal

Cell: 3.2857 10.0228 10.0228 Å, 90.00 90.00 90.00°
Closest atoms and distances in Å follow each position.
Positions (direct):
Ru 0.5000 0.6935 0.4373  2 Al 2.51, 2 Mn 2.62
____________

Outcome:
A relaxed Sc2Mn2AlRu5 crystal. Source: Alexandria via LeMat-Bulk, functional PBE.

Summary:
Uncorrected energy (eV/atom): -8.294
DOS at the Fermi energy (states/eV/cell): 16.89
Volume (Å³/atom): 15.262
Crystal system: tetragonal

Cell: 3.2302 9.7210 9.7210 Å, 90.00 90.00 90.00°
Closest atoms and distances in Å follow each position.
Positions (direct):
Ru 0.5000 0.4349 0.3000  2 Mn 2.39, 2 Al 2.61
Ru 0.5000 0.3000 0.5651  2 Mn 2.39, 2 Al 2.61
Ru 0.5000 0.0651 0.8000  2 Mn 2.39, 2 Al 2.61
Ru 0.5000 0.5651 0.7000  2 Mn 2.39, 2 Al 2.61
Ru 0.5000 0.0000 0.5000  4 Mn 2.43
Ru 0.5000 0.2000 0.0651  2 Mn 2.39, 2 Al 2.61
Ru 0.5000 0.8000 0.9349  2 Mn 2.39, 2 Al 2.61
Ru 0.5000 0.5000 0.0000  4 Mn 2.43
Ru 0.5000 0.9349 0.2000  2 Mn 2.39, 2 Al 2.61
Ru 0.5000 0.7000 0.4349  2 Mn 2.39, 2 Al 2.61
Mn 0.0000 0.3679 0.1321  6 Ru 2.39-2.43
Mn 0.0000 0.6321 0.8679  6 Ru 2.39-2.43
Mn 0.0000 0.1321 0.6321  6 Ru 2.39-2.43
Mn 0.0000 0.8679 0.3679  6 Ru 2.39-2.43
Sc 0.0000 0.3287 0.8287  3 Mn 2.70-2.97, 2 Ru 2.86
Sc 0.0000 0.6713 0.1713  3 Mn 2.70-2.97, 2 Ru 2.86
Sc 0.0000 0.1713 0.3287  3 Mn 2.70-2.97, 2 Ru 2.86
Sc 0.0000 0.8287 0.6713  3 Mn 2.70-2.97, 2 Ru 2.86
Al 0.0000 0.5000 0.5000  8 Ru 2.61
Al 0.0000 0.0000 0.0000  8 Ru 2.61

---

A relaxed Sc2MnAl2Ru5 crystal. Source: Alexandria via LeMat-Bulk, functional PBE.

Summary:
Uncorrected energy (eV/atom): -7.886
DOS at the Fermi energy (states/eV/cell): 15.63
Volume (Å³/atom): 15.444
Crystal system: tetragonal

Cell: 3.2335 9.7737 9.7737 Å, 90.00 90.00 90.00°
Closest atoms and distances in Å follow each position.
Positions (direct):
Ru 0.5000 0.6921 0.4365  2 Al 2.46, 2 Mn 2.55
Ru 0.5000 0.8079 0.9365  2 Al 2.46, 2 Mn 2.55
Ru 0.5000 0.3079 0.5635  2 Al 2.46, 2 Mn 2.55
Ru 0.5000 0.0635 0.8079  2 Al 2.46, 2 Mn 2.55
Ru 0.5000 0.9365 0.1921  2 Al 2.46, 2 Mn 2.55
Ru 0.5000 0.4365 0.3079  2 Al 2.46, 2 Mn 2.55
Ru 0.5000 0.0000 0.5000  4 Al 2.43
Ru 0.5000 0.1921 0.0635  2 Al 2.46, 2 Mn 2.55
Ru 0.5000 0.5000 0.0000  4 Al 2.43
Ru 0.5000 0.5635 0.6921  2 Al 2.46, 2 Mn 2.55
Sc 0.0000 0.3306 0.8306  3 Al 2.76-2.96, 6 Ru 2.85-3.08
Sc 0.0000 0.8306 0.6694  3 Al 2.76-2.96, 6 Ru 2.85-3.08
Sc 0.0000 0.6694 0.1694  3 Al 2.76-2.96, 6 Ru 2.85-3.08
Sc 0.0000 0.1694 0.3306  3 Al 2.76-2.96, 6 Ru 2.85-3.08
Mn 0.0000 0.5000 0.5000  8 Ru 2.55
Mn 0.0000 0.0000 0.0000  8 Ru 2.55
Al 0.0000 0.6309 0.8691  6 Ru 2.43-2.46
Al 0.0000 0.1309 0.6309  6 Ru 2.43-2.46
Al 0.0000 0.8691 0.3691  6 Ru 2.43-2.46
Al 0.0000 0.3691 0.1309  6 Ru 2.43-2.46

---

A relaxed SrMn2AlRu crystal. Source: Alexandria via LeMat-Bulk, functional PBE.

Summary:
Uncorrected energy (eV/atom): -4.510
DOS at the Fermi energy (states/eV/cell): 4.64
Volume (Å³/atom): 23.707
Crystal system: tetragonal

Cell: 4.9669 4.8047 4.9669 Å, 90.00 90.00 90.00°
Closest atoms and distances in Å follow each position.
Positions (direct):
Al 0.5000 0.5000 0.5000  8 Mn 3.46, 4 Ru 3.51
Mn 0.5000 0.0000 0.0000  2 Sr 2.48
Mn 0.0000 0.0000 0.5000  2 Sr 2.48
Sr 0.0000 0.0000 0.0000  2 Ru 2.40, 4 Mn 2.48
Ru 0.0000 0.5000 0.0000  2 Sr 2.40

---

A relaxed SrMnAlRu2 crystal. Source: Alexandria via LeMat-Bulk, functional PBE.

Summary:
Uncorrected energy (eV/atom): -3.847
DOS at the Fermi energy (states/eV/cell): 6.94
Volume (Å³/atom): 23.155
Crystal system: tetragonal

Cell: 4.7326 5.1691 4.7326 Å, 90.00 90.00 90.00°
Closest atoms and distances in Å follow each position.
Positions (direct):
Ru 0.5000 0.0000 0.0000  2 Sr 2.37
Ru 0.0000 0.0000 0.5000  2 Sr 2.37
Al 0.0000 0.5000 0.0000  2 Sr 2.58
Mn 0.5000 0.5000 0.5000  4 Al 3.35, 8 Ru 3.50
Sr 0.0000 0.0000 0.0000  4 Ru 2.37, 2 Al 2.58

---

A relaxed Tb2MnAl2Ru5 crystal. Source: Alexandria via LeMat-Bulk, functional PBE.

Summary:
Uncorrected energy (eV/atom): -7.496
DOS at the Fermi energy (states/eV/cell): 14.71
Volume (Å³/atom): 16.504
Crystal system: tetragonal

Cell: 3.2857 10.0228 10.0228 Å, 90.00 90.00 90.00°
Closest atoms and distances in Å follow each position.
Positions (direct):
Ru 0.5000 0.6935 0.4373  2 Al 2.51, 2 Mn 2.62